Excerpt =
'''
Li2VSi3O9: optimized geometry, GGA+U.

Summary:
VASP energy	-436.73	eV per cell
magnetic moment	4.00	Bohr magnetons per cell
DOS at the Fermi energy	0.0	states/eV/f.u.
SG	P2_12_12_1

Structure (extended XYZ):
```
60
Lattice="7.7805 0.0000 0.0000 0.0000 9.5912 0.0000 0.0000 0.0000 11.0604" Properties=species:S:1:pos:R:3 pbc="T T T"
Si 4.4662 4.1334 11.0562
Si 3.1013 6.0744 9.2730
Si 3.3143 8.9290 5.5345
Si 0.3125 6.4865 8.2029
Si 6.9916 8.3124 1.7874
Si 4.6792 1.2788 7.3177
Si 4.2028 7.9003 2.8576
Si 0.7889 3.5168 3.7428
Si 7.4680 1.6909 8.3878
Si 0.5759 0.6622 0.0043
Si 7.2046 5.4578 5.5259
Si 3.5777 3.1047 2.6726
V 2.2143 9.0435 8.5317
V 1.6759 0.5477 3.0014
V 6.1046 5.3433 2.5288
V 5.5662 4.2479 8.0590
O 3.4900 5.4137 10.7305
O 3.0224 8.1304 6.9210
O 5.8863 4.5391 0.6804
O 0.8678 1.4608 1.3908
O 7.5211 1.6656 10.0567
O 7.1298 3.2742 8.0514
O 0.7345 1.9130 4.0280
O 0.4002 4.1775 5.2003
O 3.6467 0.7274 8.4518
O 1.8942 9.3347 4.8499
O 5.4824 8.7528 2.2553
O 4.9221 3.7257 3.3339
O 4.1496 7.9256 4.5265
O 4.5409 6.3170 2.5212
O 2.8584 8.5213 2.1963
O 0.6507 8.0698 8.5393
O 7.3803 8.9731 0.3299
O 0.2593 6.4612 6.5340
O 6.1883 0.8384 7.7855
O 7.0460 6.7086 1.5022
O 3.6309 3.1300 1.0038
O 2.2981 3.9572 3.2749
O 6.7486 5.8655 8.8641
O 4.2904 0.6181 5.8601
O 4.7580 3.3348 9.6697
O 5.7844 5.0521 6.2106
O 3.1557 7.6782 9.5582
O 0.2436 8.8638 2.9216
O 6.9127 6.2564 4.1395
O 1.0319 1.0699 7.7265
O 3.2396 1.5214 3.0090
O 1.9961 0.2565 10.3801
O 7.5369 4.0682 2.6086
O 4.1338 5.5230 8.1389
O 4.6247 2.8826 7.0324
O 1.5921 5.6340 8.8051
Li 0.4606 7.8458 4.5354
Li 7.3198 3.0502 0.9948
Li 4.9070 3.5744 5.2506
Li 4.3509 6.5410 6.5250
Li 1.0167 1.2212 5.8099
Li 6.7637 6.0168 10.7808
Li 3.4296 1.7454 10.0656
Li 2.8735 8.3700 0.2797
```

----------

Record 1
Here is a relaxed structure of LaTc from the Alexandria database. Energies are from GGA-PBE.

Structure (CIF):
```
data_LaTc
_space_group_name_H-M_alt 'R -3 m'
_space_group_IT_number 166
_space_group_name_Hall '-R 3 2"'
_cell_length_a 3.4822
_cell_length_b 3.4822
_cell_length_c 13.1007
_cell_angle_alpha 90.00
_cell_angle_beta 90.00
_cell_angle_gamma 120.00
loop_
_atom_site_label
_atom_site_type_symbol
_atom_site_fract_x
_atom_site_fract_y
_atom_site_fract_z
_atom_site_occupancy
La1 La 0.0000 0.0000 0.0000 1
Tc1 Tc 0.0000 0.0000 0.5000 1
```

## Properties
final energy = -7.0532 eV/atom
ΔE to the lowest computed polymorph = 563 meV per atom
ΔE_f = 0.593 eV per atom
magnetic moment = 0.0 μB per formula unit
crystal system = trigonal

Record 2
Here is a relaxed structure of LaTc from the Alexandria database. Energies are from GGA-PBE.

Structure (CIF):
```
data_LaTc
_space_group_name_H-M_alt 'P m m n'
_space_group_IT_number 59
_cell_length_a 3.474
_cell_length_b 5.430
_cell_length_c 4.536
_cell_angle_alpha 90.00
_cell_angle_beta 90.00
_cell_angle_gamma 90.00
loop_
_space_group_symop_operation_xyz
'x,y,z'
'-x,-y,-z'
'-x+1/2,-y+1/2,z'
'x+1/2,y+1/2,-z'
'x+1/2,-y,-z'
'-x+1/2,y,z'
'-x,y+1/2,-z'
'x,-y+1/2,z'
loop_
_atom_site_label
_atom_site_type_symbol
_atom_site_fract_x
_atom_site_fract_y
_atom_site_fract_z
_atom_site_occupancy
La1 La 0.250 0.250 0.001 1
Tc1 Tc 0.250 0.750 0.500 1
```

## Properties
final energy = -7.1755 eV/atom
ΔE to the lowest computed polymorph = 440 meV per atom
ΔE_f = 0.471 eV per atom
magnetic moment = 0.0 μB per formula unit
crystal system = orthorhombic

Record 3
Here is a relaxed structure of LaTc from the Alexandria database. Energies are from GGA-PBE.

Structure (CIF):
```
data_LaTc
_space_group_name_H-M_alt 'P 21 3'
_space_group_IT_number 198
_space_group_name_Hall 'P 2ac 2ab 3'
_cell_length_a 5.646
_cell_length_b 5.646
_cell_length_c 5.646
_cell_angle_alpha 90.00
_cell_angle_beta 90.00
_cell_angle_gamma 90.00
loop_
_atom_site_label
_atom_site_type_symbol
_atom_site_fract_x
_atom_site_fract_y
_atom_site_fract_z
_atom_site_occupancy
La1 La 0.084 0.416 0.584 1
Tc1 Tc 0.091 0.909 0.409 1
'''

Assignment =
Please return the whole of the notes earlier on without additions.

Result =
Li2VSi3O9: optimized geometry, GGA+U.

Summary:
VASP energy	-436.73	eV per cell
magnetic moment	4.00	Bohr magnetons per cell
DOS at the Fermi energy	0.0	states/eV/f.u.
SG	P2_12_12_1

Structure (extended XYZ):
```
60
Lattice="7.7805 0.0000 0.0000 0.0000 9.5912 0.0000 0.0000 0.0000 11.0604" Properties=species:S:1:pos:R:3 pbc="T T T"
Si 4.4662 4.1334 11.0562
Si 3.1013 6.0744 9.2730
Si 3.3143 8.9290 5.5345
Si 0.3125 6.4865 8.2029
Si 6.9916 8.3124 1.7874
Si 4.6792 1.2788 7.3177
Si 4.2028 7.9003 2.8576
Si 0.7889 3.5168 3.7428
Si 7.4680 1.6909 8.3878
Si 0.5759 0.6622 0.0043
Si 7.2046 5.4578 5.5259
Si 3.5777 3.1047 2.6726
V 2.2143 9.0435 8.5317
V 1.6759 0.5477 3.0014
V 6.1046 5.3433 2.5288
V 5.5662 4.2479 8.0590
O 3.4900 5.4137 10.7305
O 3.0224 8.1304 6.9210
O 5.8863 4.5391 0.6804
O 0.8678 1.4608 1.3908
O 7.5211 1.6656 10.0567
O 7.1298 3.2742 8.0514
O 0.7345 1.9130 4.0280
O 0.4002 4.1775 5.2003
O 3.6467 0.7274 8.4518
O 1.8942 9.3347 4.8499
O 5.4824 8.7528 2.2553
O 4.9221 3.7257 3.3339
O 4.1496 7.9256 4.5265
O 4.5409 6.3170 2.5212
O 2.8584 8.5213 2.1963
O 0.6507 8.0698 8.5393
O 7.3803 8.9731 0.3299
O 0.2593 6.4612 6.5340
O 6.1883 0.8384 7.7855
O 7.0460 6.7086 1.5022
O 3.6309 3.1300 1.0038
O 2.2981 3.9572 3.2749
O 6.7486 5.8655 8.8641
O 4.2904 0.6181 5.8601
O 4.7580 3.3348 9.6697
O 5.7844 5.0521 6.2106
O 3.1557 7.6782 9.5582
O 0.2436 8.8638 2.9216
O 6.9127 6.2564 4.1395
O 1.0319 1.0699 7.7265
O 3.2396 1.5214 3.0090
O 1.9961 0.2565 10.3801
O 7.5369 4.0682 2.6086
O 4.1338 5.5230 8.1389
O 4.6247 2.8826 7.0324
O 1.5921 5.6340 8.8051
Li 0.4606 7.8458 4.5354
Li 7.3198 3.0502 0.9948
Li 4.9070 3.5744 5.2506
Li 4.3509 6.5410 6.5250
Li 1.0167 1.2212 5.8099
Li 6.7637 6.0168 10.7808
Li 3.4296 1.7454 10.0656
Li 2.8735 8.3700 0.2797
```

----------

Record 1
Here is a relaxed structure of LaTc from the Alexandria database. Energies are from GGA-PBE.

Structure (CIF):
```
data_LaTc
_space_group_name_H-M_alt 'R -3 m'
_space_group_IT_number 166
_space_group_name_Hall '-R 3 2"'
_cell_length_a 3.4822
_cell_length_b 3.4822
_cell_length_c 13.1007
_cell_angle_alpha 90.00
_cell_angle_beta 90.00
_cell_angle_gamma 120.00
loop_
_atom_site_label
_atom_site_type_symbol
_atom_site_fract_x
_atom_site_fract_y
_atom_site_fract_z
_atom_site_occupancy
La1 La 0.0000 0.0000 0.0000 1
Tc1 Tc 0.0000 0.0000 0.5000 1
```

## Properties
final energy = -7.0532 eV/atom
ΔE to the lowest computed polymorph = 563 meV per atom
ΔE_f = 0.593 eV per atom
magnetic moment = 0.0 μB per formula unit
crystal system = trigonal

Record 2
Here is a relaxed structure of LaTc from the Alexandria database. Energies are from GGA-PBE.

Structure (CIF):
```
data_LaTc
_space_group_name_H-M_alt 'P m m n'
_space_group_IT_number 59
_cell_length_a 3.474
_cell_length_b 5.430
_cell_length_c 4.536
_cell_angle_alpha 90.00
_cell_angle_beta 90.00
_cell_angle_gamma 90.00
loop_
_space_group_symop_operation_xyz
'x,y,z'
'-x,-y,-z'
'-x+1/2,-y+1/2,z'
'x+1/2,y+1/2,-z'
'x+1/2,-y,-z'
'-x+1/2,y,z'
'-x,y+1/2,-z'
'x,-y+1/2,z'
loop_
_atom_site_label
_atom_site_type_symbol
_atom_site_fract_x
_atom_site_fract_y
_atom_site_fract_z
_atom_site_occupancy
La1 La 0.250 0.250 0.001 1
Tc1 Tc 0.250 0.750 0.500 1
```

## Properties
final energy = -7.1755 eV/atom
ΔE to the lowest computed polymorph = 440 meV per atom
ΔE_f = 0.471 eV per atom
magnetic moment = 0.0 μB per formula unit
crystal system = orthorhombic

Record 3
Here is a relaxed structure of LaTc from the Alexandria database. Energies are from GGA-PBE.

Structure (CIF):
```
data_LaTc
_space_group_name_H-M_alt 'P 21 3'
_space_group_IT_number 198
_space_group_name_Hall 'P 2ac 2ab 3'
_cell_length_a 5.646
_cell_length_b 5.646
_cell_length_c 5.646
_cell_angle_alpha 90.00
_cell_angle_beta 90.00
_cell_angle_gamma 90.00
loop_
_atom_site_label
_atom_site_type_symbol
_atom_site_fract_x
_atom_site_fract_y
_atom_site_fract_z
_atom_site_occupancy
La1 La 0.084 0.416 0.584 1
Tc1 Tc 0.091 0.909 0.409 1